I'm sure VA knows what he means, as do I. It's become like one of those form letters you get from corporations when you write to them about a problem -- the words are already there in a computer macro, with just a few words filled in to "personalize" it. The "sob-story hand-wringing" immigration story seems to have been written by some Central Politburo of Political Correctness and distributed to the media to adapt as they see fit. Only, some of us see it as unfit as the product of a supposedly free press.
It's easy to find examples, but the Phoenix-area East Valley Tribune seems to be vying with The New York Times for the Olympic Gold Medal in one-sided, slanted reporting. If this is in fact what they teach in journalism school nowadays, you could hardly offer the class a better model than this.
Bad. Bad. Bad. That’s how Mesa business owner Ramon Quintana describes the crisis facing Hispanic-oriented companies as people in the Latino community lose their jobs and flee the area for friendlier frontiers. The problem comes from a mix of fear of recent immigration arrests and the pending crackdown on employers who hire illegal residents. Hispanic-oriented businesses are paying the price.Crisis. Flee the area for friendlier frontiers. Fear. Crackdown. ¡Ay caramba!¡Fascismo! The United States is beginning to rediscover that it has borders, and they do not include all Mexico.
At the height of the Christmas shopping season, some businesses reported less than half the revenue they had last Christmas. Those who remain are struggling to pay the rent, both on their homes and businesses. “Everybody is complaining,” Quintana said. And the situation is only going to get worse, he said.Worse for whom, amigo? For you and your clientele, contemptuous of American law, indulging in the kind of border jumping that would get you jailed if you tried it in Mexico? But maybe a lot better for those of us who are citizens of this country, who will no longer watch ever larger portions of our cities become Tijuana because of criminals like you.
The windows at U-Care Thrift Store are still plastered with “Happy Holidays” and “Peace on Earth Good Will to All,” a merry message compared with the story on the other side of the glass. Neighbors say the owner fled about a month ago, leaving rows of clothing racks and a store full of merchandise behind. ... U-Care Thrift Store is the third shop on the corner of Main Street and Stapley Drive to close. Quik Cash payday loans and a former party store are already empty.Señor Quintana? You and "other vendors" thought you'd game the system here, come to El Norte for the freebies that American taxpayers are required by their political overlords to grant you.
These records of molecules were left in the entry by mistake
┌──
Entry w
A 2-piece molecular cluster, C2H6NO2 overall, computed with wB97M-V/def2-TZVPD.

Calculated values
HOMO energy (alpha / beta) (hartree): -0.503 / -0.555
Net charge: +1
Orbital gap (alpha / beta) (eV): 7.02 / 10.07

CARTESIAN COORDINATES (ANGSTROEM)
1 O -1.726 0.730 0.726
2 C -0.790 0.108 -0.013
3 H -0.492 -1.769 0.885
4 H 2.157 0.994 -1.031
5 N -0.889 -1.409 0.004
6 H -0.376 -1.811 -0.792
7 H 2.319 0.666 0.802
8 C 1.955 1.264 -0.012
9 H -1.880 -1.709 -0.064
10 O -1.761 0.726 -0.705
11 H 1.483 2.211 0.199

natural (NBO) atomic charge list, values in e, 2 entries:
1. O -0.221
2. C 0.520

---

Entry x
An isolated ion of composition C2H6NO2 and charge +1, computed with wB97M-V/def2-TZVPD.

Calculated values
HOMO energy (hartree): -0.593
Net charge: +1
SMILES string: [NH3+][C@@]1(O)CO1
Orbital gap (eV): 11.88

CARTESIAN COORDINATES (ANGSTROEM)
1 N 0.929 0.676 -0.483
2 H 1.829 0.428 -0.633
3 O -1.182 -0.504 -0.899
4 O 0.656 -1.670 0.104
5 C -0.060 -0.419 -0.126
6 H 0.223 -2.197 -0.547
7 H 0.954 1.359 0.355
8 C -1.433 -0.071 0.387
9 H -2.170 -0.645 1.117
10 H -1.688 1.021 0.403
11 H 0.379 1.053 -1.425

natural (NBO) atomic charge list, values in e, 2 entries:
1. N -0.725
2. H 0.450

---

The structure with the most favorable energy is entry x; the runner-up is 5.297 eV above it.

* * * * *

No. 1
The following is a quantum chemistry calculation of H3INO2P as an isolated structure in a non-equilibrium geometry, from the OMol25 dataset.

```
8
Properties=species:S:1:pos:R:3:mulliken_charge:R:1
O 0.95 -1.30 -0.46 -0.5880
H -1.81 0.57 -0.85 0.3599
H 0.76 -2.22 -0.63 0.2751
P -0.51 -0.49 0.55 0.4928
H 0.56 1.23 -0.43 0.3541
I 1.55 1.46 1.92 0.1620
O -1.63 -0.33 -0.59 -0.4446
N 0.13 1.08 0.48 -0.6113
```

## Properties
Calculated total energy, eV: -23023.296
Charge: 0
ΔE to the lowest compared entry with this formula, charge and spin, kJ/mol: 26.5
F_max, eV Å⁻¹: 3.65
LUMO, eV: -0.42

=====

No. 2
The following is a quantum chemistry calculation of one molecule with the formula C10H11N3 in a non-equilibrium geometry, from the OMol25 dataset.

```
24
Properties=species:S:1:pos:R:3:mulliken_charge:R:1
C -0.98 1.86 -0.13 -0.8341
H 3.08 1.58 -0.62 0.3339
H -1.33 2.86 -0.21 0.4758
H 1.03 2.32 -0.14 0.3703
C -2.62 -1.43 -0.07 -0.2888
H 3.57 -1.63 -0.14 0.3330
N -3.88 -1.10 -0.04 -0.5984
C 0.74 0.18 -0.08 0.9679
N -3.27 1.23 0.06 -0.6419
C -0.21 -0.83 -0.06 -0.3685
H 2.18 -1.95 0.98 0.3545
H -2.43 -2.50 -0.20 0.3898
C 0.33 1.52 -0.15 -0.2693
H 4.08 0.37 0.18 0.3373
C -4.14 0.22 0.13 -0.1761
C 3.11 0.84 0.15 -1.0733
H -5.18 0.46 0.20 0.3954
C -1.58 -0.50 -0.03 0.2698
C -1.98 0.84 -0.03 0.0242
H 2.93 1.38 1.09 0.3460
H 0.04 -1.89 0.02 0.3490
N 2.08 -0.16 -0.13 0.0411
H 1.95 -2.10 -0.79 0.3194
C 2.47 -1.55 0.01 -1.0570
```

## Properties
Calculated total energy, eV: -15018.429
Charge: 0
Structure (SMILES): CN(C)c1ccc2ncncc2c1
ΔE to the lowest compared entry with this formula, charge and spin, kJ/mol: 76.3
F_max, eV Å⁻¹: 2.12
LUMO, eV: 0.26

=====

No. 3
└──
End of the records of molecules
Those probably won’t be the last to close on that corner, Quintana said. Other vendors tell him they worry about making the rent.
**Between two parts of the text: records of molecules**
____________
{"formula": "C5H7ClSe", "method": "ωB97M-V with the def2-TZVPD basis set", "charge": 0, "homo_ev": -8.52, "smiles": "Cl/C=C1/CC[Se]C1", "orbital_gap_ha": 0.3399, "species": ["Se", "Cl", "C", "C", "C", "C", "C", "H", "H", "H", "H", "H", "H", "H"], "coordinates": [[-1.96178, -1.01398, 0.68214], [3.05006, -1.13665, 0.39928], [-0.30936, 1.10635, -0.27646], [-0.11971, -1.27954, 0.90079], [-1.58278, 0.35981, -0.73205], [0.57767, 0.01845, 0.10436], [1.88307, 0.13175, -0.13875], [-1.43268, -0.03482, -1.69900], [-2.34584, 0.97748, -0.85307], [0.10064, -1.39495, 1.96974], [0.39299, -2.18976, 0.42960], [-0.65678, 1.60942, 0.60598], [2.32402, 1.03034, -0.51624], [0.08048, 1.81609, -0.87630]], "forces_ev_per_angstrom": [[-1.1, 0.8, -1.3], [-0.8, 1.0, -0.5], [-3.3, -2.9, 2.4], [3.4, 0.5, -1.8], [2.9, -1.6, 0.8], [1.6, -2.1, 2.1], [-0.1, -1.6, 1.2], [0.3, -1.2, -1.0], [-3.7, 2.7, 0.0], [0.3, 0.7, -0.3], [-1.2, 1.1, 0.4], [0.1, 0.5, 0.8], [0.4, 0.1, -0.4], [1.3, 2.0, -2.5]]}

---

{"formula": "C4H12NOPS", "method": "ωB97M-V with the def2-TZVPD basis set", "charge": 0, "homo_ev": -9.02, "smiles": "CCO[P@](N)(=S)CC", "orbital_gap_ha": 0.3634, "species": ["S", "P", "O", "N", "C", "C", "C", "C", "H", "H", "H", "H", "H", "H", "H", "H", "H", "H", "H", "H"], "coordinates": [[-2.48597, 1.39131, 0.35473], [-1.24834, -0.00101, -0.14551], [0.23908, 0.69845, -0.93272], [-1.82116, -1.03476, -1.32935], [0.26072, -2.27961, 0.33704], [0.72355, 1.96764, -0.66270], [-0.60957, -1.28179, 1.04927], [1.72001, 1.88894, 0.53271], [0.73364, -2.76180, 1.18641], [-1.03589, -1.39110, -1.89780], [1.05380, -1.72479, -0.23177], [1.14953, 2.24924, -1.53120], [-0.22780, -3.05188, -0.18441], [-1.52624, -1.70234, 1.34627], [-2.44281, -0.54320, -1.95271], [-0.29445, -0.76657, 2.08803], [2.74989, 1.77093, 0.24930], [1.52578, 1.09083, 1.07547], [1.59238, 2.86963, 1.14119], [-0.05616, 2.61187, -0.49223]], "forces_ev_per_angstrom": [[0.2, -0.4, 0.2], [2.5, 1.3, -0.7], [-3.2, -3.5, 0.7], [1.0, 0.0, -0.6], [2.3, 1.4, 1.7], [1.2, -2.0, 3.1], [-0.4, 3.2, 1.0], [-0.1, 5.7, -2.1], [0.7, -0.5, -0.2], [-0.6, 0.0, 0.4], [-0.7, -0.9, 0.2], [1.8, 1.2, -2.8], [-0.8, -0.5, -1.0], [-1.4, -0.9, 0.3], [-0.3, 0.1, -0.1], [0.1, -1.1, -2.6], [0.5, 0.3, -0.5], [-1.4, -3.6, 2.9], [0.5, -1.8, -0.7], [-2.0, 1.7, 0.8]]}

---
____________
But that's changing. You sponged off our country for years. Well, the game's about up, amigo. You lose, and you deserve to lose.
• Between two parts of the text: records of molecules:
1.
Here is a molecular structure, C3H5O2S at a distorted geometry from the OMol25 dataset. Energies are from ωB97M-V/def2-TZVPD.

Output
orbital gap (alpha / beta): 5.71 / 7.35 eV
highest occupied orbital energy (alpha / beta): -13.46 / -13.88 eV
maximum force: 6.9 eV Å⁻¹
total charge: +1

Atoms and positions in Å:
C  0.0042  1.0909  1.6639
C  -0.5991  0.8084  -0.5567
C  -0.1104  -1.1007  -0.6082
O  -1.4407  1.1836  -1.2791
O  0.0607  1.3193  0.3912
S  1.6001  -1.1476  -0.9635
H  0.7295  1.3607  2.4904
H  -0.9036  0.6274  2.0990
H  -0.8608  -1.3732  -1.2819
H  -0.1958  -1.3826  0.4235
H  1.7160  -1.3862  -2.3785

---

2.
Here is a molecular structure, C30H26N7RhS from the OMol25 dataset. Energies are from ωB97M-V/def2-TZVPD.

Output
orbital gap (alpha / beta): 6.47 / 6.47 eV
highest occupied orbital energy (alpha / beta): -13.63 / -13.63 eV
maximum force: 0.4 eV Å⁻¹
total charge: +2

Atoms and positions in Å:
Rh  0.3297  2.1092  0.3075
C  -1.1403  1.9539  -5.6751
C  -1.2169  1.7858  -4.1906
C  -1.1543  0.5153  -3.6039
C  -1.2022  0.3421  -2.2394
C  -1.3545  1.4478  -1.3781
N  -1.4794  1.4361  0.0204
C  -1.8227  0.2843  0.7511
C  -2.6508  -0.7160  0.2341
C  -3.0190  -1.8125  0.9874
C  -2.5507  -1.9821  2.2895
C  -2.9162  -3.1938  3.0947
C  -1.7677  -0.9695  2.8224
C  -1.4555  0.1744  2.0974
N  -0.7939  1.2260  2.8119
C  -0.8726  1.4589  4.1404
C  -0.1236  2.5709  4.4352
C  0.3830  2.9993  3.2117
N  -0.0415  2.1888  2.2433
C  -1.3634  2.7320  -1.9833
C  -1.2991  2.8942  -3.3538
N  -1.4272  3.8646  -1.1377
C  -2.1323  5.0089  -1.2458
C  -1.7891  5.8052  -0.1788
C  -0.8473  5.0659  0.5428
N  -0.6314  3.8988  -0.0490
H  -1.4350  1.0437  -6.1925
H  -0.1157  2.1897  -5.9720
H  -1.7758  2.7712  -6.0124
H  -1.0676  -0.3557  -4.2406
H  -1.1729  -0.6579  -1.8336
H  -3.0580  -0.6009  -0.7594
H  -3.6755  -2.5554  0.5525
H  -2.8093  -4.1026  2.5036
H  -3.9572  -3.1352  3.4163
H  -2.2957  -3.2871  3.9840
H  -1.3923  -1.0848  3.8310
H  -1.4903  0.8551  4.7808
H  0.0157  3.0237  5.4003
H  1.0220  3.8367  2.9836
H  -1.2945  3.8937  -3.7707
H  -2.8245  5.1626  -2.0562
H  -2.1650  6.7864  0.0486
H  -0.3269  5.3324  1.4469
S  4.1318  -3.1653  1.3323
C  3.0689  -1.8369  0.9940
C  2.2599  -1.7139  -0.1397
C  1.4659  -0.6021  -0.2840
N  1.4113  0.3939  0.6168
C  2.1961  0.2808  1.7095
C  3.0193  -0.7925  1.9281
C  3.9213  -4.1873  -0.1104
C  2.9521  -5.1792  -0.1293
C  2.8369  -5.9505  -1.2792
N  3.6068  -5.7825  -2.3482
C  4.5455  -4.8453  -2.3079
C  4.7486  -4.0172  -1.2094
H  2.2507  -2.4730  -0.9083
H  0.8498  -0.4858  -1.1625
H  2.1571  1.0864  2.4288
H  3.6272  -0.8202  2.8223
H  2.3115  -5.3562  0.7238
H  2.0948  -6.7378  -1.3379
H  5.1695  -4.7474  -3.1884
H  5.5324  -3.2720  -1.2150

---

3.
Here is 2 unconnected molecules or ions with the total composition C6H10O3 at a distorted geometry from the OMol25 dataset. Energies are from ωB97M-V/def2-TZVPD.

Output
orbital gap: 10.44 eV
highest occupied orbital energy: -9.65 eV
Oh, and you, East Valley Tribune: Bad. Bad. Bad.